
Unraveling Bonuses in Turkey: An Insight into the Reward System

In Turkey, bonuses are an integral part of the employment landscape, serving as incentives to motivate and reward employees.

This article aims to provide a comprehensive overview of bonuses in Turkey, exploring their types, regulations, tax implications, and their impact on the workforce.

Types of Bonuses in Turkey

Performance-Based Bonuses

Performance-based bonuses are commonly awarded to employees based on their individual or team achievements. These bonuses are designed to recognize and reward exceptional performance, productivity, and contributions towards organizational goals. The criteria for earning performance-based bonuses are typically outlined in employment contracts or established through performance evaluation systems.

Profit-Sharing Bonuses in Turkey

1.
52
Lattice="7.8715 0.0000 0.0000 0.0000 8.8742 0.0000 -0.0662 0.0000 8.4236" Properties=species:S:1:pos:R:3 comment="CaBe2P2O8 (PBE-GGA, optimized geometry)" magmom_total_mub_per_fu=0.00 space_group="No. 14" formation_energy_ev_per_atom=-3.119 energy_ev_per_atom=-7.30 volume_a3_per_cell=588.41 pbc="T T T"
Ca 1.8952 0.7552 3.2619
Ca 1.8621 3.6819 7.4737
Ca 5.9431 5.1923 0.9499
Ca 5.9100 8.1189 5.1618
Be 0.4957 0.7032 6.4817
Be 0.5288 3.7339 2.2698
Be 3.3525 6.1648 3.7339
Be 3.3194 7.1465 7.9457
Be 4.4859 1.7277 0.4780
Be 4.4528 2.7094 4.6898
Be 7.2764 5.1403 6.1538
Be 7.3095 8.1710 1.9420
P 0.4516 6.1931 3.7046
P 0.4185 7.1182 7.9164
P 3.4064 0.7358 6.4344
P 3.4395 3.7012 2.2226
P 4.3657 5.1729 6.2011
P 4.3988 8.1383 1.9892
P 7.3868 1.7560 0.5072
P 7.3536 2.6811 4.7190
O 0.0202 0.7744 1.6077
O -0.0129 3.6627 5.8195
O 0.3825 5.6546 7.3705
O 0.4156 7.6567 3.1587
O 0.4655 1.7085 7.7562
O 0.4986 2.7285 3.5444
O 1.8536 5.8237 4.1757
O 1.8205 7.4876 8.3875
O 1.9881 0.7083 5.7890
O 2.0212 3.7288 1.5772
O 3.3797 1.7218 7.6214
O 3.4128 2.7152 3.4096
O 3.3897 5.6203 7.3292
O 3.4228 7.6910 3.1174
O 3.8811 0.6543 1.5742
O 3.8480 3.7828 5.7860
O 3.9572 5.0914 2.6376
O 3.9241 8.2199 6.8494
O 4.3824 1.1832 5.3062
O 4.4155 3.2539 1.0944
O 4.3925 6.1589 5.0141
O 4.4256 7.1523 0.8023
O 5.7840 5.1454 6.8464
O 5.8172 8.1659 2.6346
O 5.9847 1.3866 0.0362
O 5.9516 3.0505 4.2480
O 7.3067 6.1456 4.8792
O 7.3398 7.1656 0.6674
O 7.3896 1.2175 5.2649
O 7.4227 3.2196 1.0531
O 7.8182 5.2115 2.6041
O 7.7851 8.0998 6.8159

***

2.
4
Lattice="0.0000 4.7974 4.7974 4.7974 0.0000 4.7974 4.7974 4.7974 0.0000" Properties=species:S:1:pos:R:3 comment="Rb3W (PBE-GGA, optimized geometry)" magmom_total_mub_per_fu=5.18 space_group="No. 225" formation_energy_ev_per_atom=1.544 energy_ev_per_atom=-2.43 volume_a3_per_cell=220.83 pbc="T T T"
Rb 0.0000 0.0000 0.0000
Rb 2.3987 2.3987 2.3987
Rb 7.1962 7.1962 7.1962
W 4.7974 4.7974 4.7974

***

3.
14
Lattice="3.7741 2.1790 6.0629 -3.7741 2.1790 6.0629 0.0000 -4.3579 6.0629" Properties=species:S:1:pos:R:3 comment="Mg2Sc3WS8 (PBE-GGA, optimized geometry)" magmom_total_mub_per_fu=3.00 space_group="No. 166" formation_energy_ev_per_atom=-1.716 energy_ev_per_atom=-6.30 volume_a3_per_cell=299.15 pbc="T T T"
Mg 0.0000 0.0000 2.2787
Mg 0.0000 0.0000 15.9101
Sc -1.8870 -1.0895 6.0629
Sc -1.8870 1.0895 12.1258
Sc 0.0000 2.1790 6.0629
W 0.0000 0.0000 9.0944
S 0.0000 0.0000 4.6975
S 0.0000 -2.0156 7.5875
S -1.7455 1.0078 7.5875
S -1.7455 -1.0078 10.6013
S 1.7455 1.0078 7.5875
S 1.7455 -1.0078 10.6013
S 0.0000 2.0156 10.6013
S 0.0000 0.0000 13.4913

***

4.
16
Lattice="4.6744 0.0000 0.0000 0.0000 5.9815 0.0000 0.0000 0.0000 10.1590" Properties=species:S:1:pos:R:3 comment="Mg6FeCo (PBE-GGA, optimized geometry)" magmom_total_mub_per_fu=3.87 formation_energy_ev_per_atom=0.214 energy_ev_per_atom=-2.93 relative_energy_mev_per_atom=0 volume_a3_per_cell=284.05 pbc="T T T"
Mg 0.0000 1.5932 0.9317
Mg 0.0000 4.3883 0.9317
Mg 0.0000 2.9907 8.5048

Profit-sharing bonuses are linked to the financial success of a company. Employers distribute a portion of the company’s profits among employees as a way to share the success and foster a sense of ownership. The criteria and distribution methods for profit-sharing bonuses can vary, and they are usually determined through collective bargaining agreements or internal company policies.

Annual/Year-End Bonuses in Turkey

Year-end bonuses, also known as annual bonuses, are commonly given to employees as a gesture of appreciation and recognition for their dedication throughout the year. These bonuses are often provided as a fixed amount or a percentage of an employee’s annual salary and are typically distributed at the end of the calendar or fiscal year.

Special/Discretionary Bonuses

Special or discretionary bonuses are awarded on special occasions or events, such as holidays, company milestones, or exceptional achievements. These bonuses are not necessarily tied to performance metrics or profits but are intended to acknowledge extraordinary efforts or milestones within the organization.

Bonus Regulations in Turkey

Collective Bargaining Agreements

In Turkey, bonus-related matters, including criteria, distribution methods, and eligibility, can be governed by collective bargaining agreements. These agreements are negotiated between employers and trade unions to establish fair and consistent practices across specific industries or sectors.

Employment Contracts and Company Policies

The terms and conditions of bonuses are typically outlined in employment contracts or internal company policies. These documents specify the criteria for eligibility, performance evaluation methods, and the calculation and distribution mechanisms for bonuses.

Legal Requirements

While there is no specific legislation governing bonuses in Turkey, employers must adhere to general labor laws and regulations. This includes ensuring that bonus schemes are fair, non-discriminatory, and aligned with the principles of equal pay for equal work.

Tax Implications of Bonuses in Turkey

Income Tax

Bonuses are subject to income tax in Turkey. The tax treatment of bonuses depends on the amount and frequency of payment. Depending on an employee’s tax bracket and the cumulative income, bonuses may be subject to progressive tax rates.

Social Security Contributions

Bonuses are generally subject to social security contributions in Turkey. Employers and employees are required to make contributions to the social security system, which includes health insurance, retirement benefits, and unemployment insurance. These contributions are calculated as a percentage of the bonus amount.

Impact of Bonuses on the Workforce in Turkey

Motivation and Performance

Bonuses serve as powerful motivators, encouraging employees to strive for excellence and achieve individual and organizational goals. By rewarding outstanding performance, bonuses can enhance employee satisfaction, engagement, and productivity.

Retention and Loyalty

The provision of bonuses can contribute to employee retention and foster loyalty within the organization. Employees who receive bonuses for their contributions are more likely to remain committed to their current employers, reducing turnover rates and associated costs.

Organizational Culture

A well-structured bonus system can help shape a positive organizational culture. When employees feel fairly rewarded for their efforts, it creates a sense of trust, fairness, and transparency within the workplace. This, in turn, can contribute to a more productive and harmonious work environment.


Bonuses in Turkey serve as effective tools for recognizing and rewarding employees’ achievements, driving motivation, and fostering a positive work environment. Understanding the various types of bonuses, their regulations, and the tax implications is essential for both employers and employees. By implementing fair and transparent bonus systems, organizations can cultivate a motivated and loyal workforce while employees can benefit from the financial rewards and recognition associated with their performance and contributions.